Net-WWD version 1.00

Net::WWD is the client and server modules for WWD, the World Wide
Database (tm). It's a powerful new method of manipulating data that is
both fairly static as well as extremely dynamic. By standardizing a
cross-platform method of dealing with data, new possibilities emerge.

It is not possibly to tightly bind an application and it's dataset. Take
a monitoring program as an example. Let's say you have 2 computers you want
to monitor an ever changing list of computers. Create the data set as a WWD 
object, then reference those objects in your application. Copy it from one 
server to another, and the data stays the same. You could in theory copy 
your application to millions of computers. From there, you can administer 
your data from one central location. When the object expires, each computer
(all 1,000,000+ of them) will then retrieve the "lastest version." As you
are probably realizing, this can make your life much easier.

Objects can return 3 different types of data.
	- static data (plain text)
	- a redirect to another object
	- dynamic perl, or mini web-apps. easily embeddable into
	  html/xml/javascript and a potentially unlimited number
	  places such as your email client, and office suite.

Records of molecules that have nothing to do with the article:
<<<
Record 1
Here is 2 unconnected molecules or ions with the total composition C2H2ClN from OMol25. Energies are from ωB97M-V with the def2-TZVPD basis set.

Calculated values
Highest occupied orbital energy (alpha / beta), eV: -10.10 / -9.87
LUMO level (alpha / beta), hartree: -0.099 / -0.081
Kohn-Sham gap (alpha / beta), eV: 7.42 / 7.66
Net charge: 0

Each line ends with the Löwdin charge.
Cartesian coordinates (Å):
1 C -0.0409 0.6426 -0.8798  0.192
2 C 0.2360 -0.1195 0.0529  -0.371
3 N 0.7501 -0.6610 1.0084  0.008
4 Cl 2.1864 -2.3881 0.1851  0.086
5 H -0.7995 1.0367 -1.4814  0.026
6 H 0.3024 -1.3138 1.6018  0.059

Atomic forces in eV per Å
C -0.314 0.203 -0.045
C -0.985 1.203 -1.764
N 2.832 -1.554 1.910
Cl -0.400 0.435 0.258
H -0.399 0.383 -0.859
H -0.734 -0.670 0.498


Record 2
Here is a single C2H2ClN molecule from OMol25. Energies are from ωB97M-V with the def2-TZVPD basis set.

Calculated values
Highest occupied orbital energy (alpha / beta), eV: -6.17 / -10.41
LUMO level (alpha / beta), hartree: 0.032 / -0.120
Kohn-Sham gap (alpha / beta), eV: 7.06 / 7.13
2S+1: 3
Net charge: 0

Each line ends with the Mulliken spin population.
Cartesian coordinates (Å):
1 C 1.3429 0.6468 0.1783  0.037
2 C 0.2915 0.0935 0.1637  0.065
3 N -0.9114 -0.8129 0.2717  0.802
4 Cl -2.2164 0.2684 -0.1309  1.100
5 H 2.1609 1.2496 -0.0154  -0.007
6 H -0.6675 -1.4454 -0.4674  0.003

Atomic forces in eV per Å
C 0.043 0.405 -0.324
C -3.490 -4.088 1.789
N 8.886 1.043 -0.186
Cl -6.131 3.764 -1.115
H 1.099 0.701 -0.004
H -0.407 -1.826 -0.160


Record 3
Here is a single C2H2ClN3O2 molecule from OMol25. Energies are from ωB97M-V with the def2-TZVPD basis set.

Calculated values
Highest occupied orbital energy (alpha / beta), eV: -9.22 / -9.90
Structure (SMILES): O=N/C=C\[N+]([O-])=N\Cl
LUMO level (alpha / beta), hartree: -0.064 / -0.075
Kohn-Sham gap (alpha / beta), eV: 7.48 / 7.87
Net charge: 0

Each line ends with the Löwdin charge.
Cartesian coordinates (Å):
1 C -0.1014 0.2419 -0.8173  -0.081
2 C -0.2750 0.5568 0.5390  0.026
3 N -2.3970 1.4969 0.8891  -0.316
4 N -0.7266 0.7991 -1.8629  -0.066
5 N -1.3782 0.9570 1.3100  -0.452
6 O -1.8408 1.1509 -1.8864  0.078
7 O -1.2620 0.6308 2.4894  -0.087
8 Cl -3.4592 1.8876 2.1797  0.662
9 H 0.7995 -0.2354 -1.1162  0.103
10 H 0.4940 0.0336 1.1321  0.134

Atomic forces in eV per Å
C -0.460 0.906 3.754
C 1.901 -2.632 -3.099
N -2.218 1.968 -2.074
N 1.674 0.270 -2.095
N 0.714 -1.004 2.068
O -2.807 0.649 0.099
O 1.182 -0.610 1.697
Cl 0.115 -0.109 -0.652
H 0.617 -0.394 0.120
H -0.717 0.955 0.183


Taking the records one at a time from the top gives ΔE to the lowest compared entry with this formula, charge and spin values of 93.5; 69.8; 102.6 kcal/mol.

~~~~~

The following is a DFT calculation (the ωB97M-V functional and the def2-TZVPD basis) of a 12-piece molecular cluster, C43H91N5O19 overall.

Structure (XYZ):
```
158
C43H91N5O19 the ωB97M-V functional and the def2-TZVPD basis
C -7.12707 -2.02741 -4.37748
C -6.30064 -1.07899 -3.53777
>>>
The records of molecules stop here:

Net::WWD::Client is the WWD (World Wide Database) client software.  
Applications can use this module to retrieve WWD objects from any 
Internet connected system. WWD is a static method for retrieving 
dynamic data.  The data can be atomic data, redirected data, or an 
application that sits behind an object. Objects can retrieve other 
objects and produce their output based on other objects.

Net::WWD::Parser process .wwd and .wjs files before delivering them
to Apache, allowing you to embed WWD Objects and Dynamic Perl (dperl)
into html/xml and other text documents. 

Net::WWD::Interface provides an http and https interface to
manipulating WWD objects by linking in directly to Apache via mod-perl.

A WWD object can be shared with the world, or only to a certain user,
IP address or domain name. Temporary passwords can be assigned (good 
for X seconds, or X reads). Objects can also be restricted to users 
who provide the proper read password. 

For more information, visit


Net::WWD::Interface depends on the following:

The other modules have no dependencies.

Calculated molecules, as found in the file =
=====
Formula: C3H9S3
Source: the OMol25 dataset
Level of theory: ωB97M-V with the def2-TZVPD basis set

multiplicity	1
E_LUMO	3.176	eV
charge	-1

Last column: Mulliken charge in e.
Cartesian coordinates (Å):
C 1.985 -1.227 1.972  -0.814
S 1.395 -0.760 0.261  -0.548
H 1.455 -0.655 2.740  0.176
H 1.862 -2.296 2.186  0.196
H 3.052 -1.001 2.067  0.205
C -2.094 0.054 0.002  -0.990
C -1.138 0.907 -0.808  -0.563
S -0.263 -0.118 -2.065  -0.138
S 0.745 1.419 -3.050  -0.304
H -1.485 -0.727 0.474  0.196
H -2.840 -0.446 -0.627  0.290
H -2.592 0.615 0.793  0.333
H -0.346 1.324 -0.188  0.355
H -1.650 1.725 -1.328  0.439
H 1.913 1.186 -2.429  0.167



Formula: C4H2S
Source: the OMol25 dataset
Level of theory: ωB97M-V with the def2-TZVPD basis set

multiplicity	1
E_LUMO	-1.693	eV
charge	0

Last column: Mulliken charge in e.
Cartesian coordinates (Å):
S -2.517 0.134 0.118  -0.152
C -0.972 0.680 -0.290  -0.318
C 0.052 -0.196 -0.122  0.425
C 0.551 -1.529 -0.167  -0.654
C 1.328 -0.463 0.322  0.014
H -0.633 1.497 -0.748  0.356
H 2.191 -0.124 0.887  0.329



Formula: C2H4IPS
Source: the OMol25 dataset
Level of theory: ωB97M-V with the def2-TZVPD basis set

multiplicity	3
E_LUMO (spin up / spin down)	-0.415 / -1.315	eV
charge	0

Last column: Löwdin spin population.
Cartesian coordinates (Å):
C 1.651 0.047 1.193  0.959
C 2.437 -0.449 2.318  0.166
P -0.215 -1.923 -0.794  0.308
S 0.849 -0.135 -0.097  0.436
I -1.430 -0.842 -2.637  0.018
H 3.040 -1.354 2.008  0.029
H 1.745 -0.571 3.178  0.032
H 3.104 0.272 2.917  0.020
H 0.740 -2.588 -1.559  0.033



Formula: C5H8O2
Source: the OMol25 dataset
Level of theory: ωB97M-V with the def2-TZVPD basis set

multiplicity	1
E_LUMO	0.868	eV
charge	0

Last column: Mulliken charge in e.
Cartesian coordinates (Å):
C -1.450 -0.341 -0.362  -1.346
C -0.344 0.675 -0.083  0.140
O -0.880 1.910 0.354  -0.572
C 0.622 0.173 0.989  -0.495
C 1.612 -0.813 0.402  -0.617
C 1.675 -1.029 -0.894  0.573
O 1.695 -1.207 -2.052  -0.405
H -2.156 -0.325 0.474  0.366
H -1.991 -0.110 -1.287  0.378
H -1.049 -1.356 -0.459  0.366
H 0.244 0.849 -1.000  0.314
H -1.477 2.219 -0.339  0.323
H 1.140 1.033 1.428  0.330
H 0.060 -0.305 1.803  0.299
H 2.300 -1.373 1.026  0.346



Formula: C3H5N2S2
Source: the OMol25 dataset
Level of theory: ωB97M-V with the def2-TZVPD basis set

multiplicity	1
E_LUMO	-5.201	eV
charge	+1

Last column: Mulliken charge in e.
Cartesian coordinates (Å):
N -1.006 -0.954 1.279  -0.348
C -0.382 -0.412 0.256  1.089
C -0.276 0.998 0.113  -0.667
C 0.710 1.652 -0.560  -0.169
S 1.893 0.956 -1.588  0.020
S 0.795 -0.699 -2.188  0.069
N 0.359 -1.272 -0.640  -0.350
H -1.390 -0.361 1.998  0.226
H -1.047 -1.950 1.428  0.230
H -0.947 1.592 0.720  0.304
H 0.860 2.708 -0.387  0.334
H 0.430 -2.257 -0.430  0.261



Formula: C4H8NO3
Source: the OMol25 dataset
Level of theory: ωB97M-V with the def2-TZVPD basis set

multiplicity	1
E_LUMO	3.629	eV
charge	-1

Last column: Mulliken charge in e.
Cartesian coordinates (Å):
C 1.169 1.913 0.137  -0.783
C 1.839 0.873 -0.745  0.571
=====


Copyright (C) 2000-2005 by John Baleshiski

This library is free software; you can redistribute it and/or modify
it under the same terms as Perl itself, either Perl version 5.0 or,
at your option, any later version of Perl 5 you may have available.